Preparing for Phone and Video Interviews

Prior to Phone and Video Interview

There are many things you can do to prep for both phone and video interviews. There are a lot of similarities to prepping for in-person interviews so consider reviewing Step 5: In-Person Interview Prep as well as the below information. Remember, there are some great advantages to a phone/video interview over a in-person interview if you prepare properly!

Research the company ahead of time            

Know as much as you can about the company you are interviewing with by checking out their website. One tip is to find a picture of the person interviewing you on LinkedIn or on the company’s website. If you know what the interviewer looks like, it may be easier to talk to them!

Be sure to eliminate as many distractions as possible

Chances are, you will be at home while participating in this interview. Background noise should be considered such as loud noises such as car horns and other traffic noises, children playing or crying, barking dogs, etc. Be sure to lock yourself in a room alone that has the best cell phone reception!

Prepare your technology

Make sure that your cell phone is fully charged! Also, if you don’t already have it, make sure you have the interviewer’s phone number in case you get disconnected! Turn off call-waiting so your call isn’t interrupted and it doesn’t distract you. If attending a video interview, make sure your camera works, that your audio/sound is at a proper level, and your computer is charged.

Download any needed software

Sometimes with video interviewing platforms such as Zoom, you may have to download the software beforehand. Be sure to check ahead of time and have everything downloaded and prepared prior to the interview start time.

Confirm contact information

Before the call, make sure you’ve confirmed the date, time and the interviewer's name. Consider asking for the interviewer's e-mail address so you can send a thank you note at the end of the interview. Make sure you confirm who will be calling who for the actual interview. Be ready and in place 15 minutes ahead of the set start time.

Dress as you would for a face-to-face interview

You may be thinking that the interviewer can't see you at all in a phone interview or only your face during a video interview, however, there is a lot to be said about feeling and sounding professional when you look the part! Dress like you would for an in-person interview to get yourself into the best professional mindset.

## Misplaced calculated molecules
No. 1
50
Properties=species:S:1:pos:R:3:forces:R:3:mulliken_charge:R:1 method="wB97M-V/def2-TZVPD" spin_multiplicity=1 relative_energy_kj_mol=1520.3 e_lumo_ev=0.775 total_charge=0
C -4.971 -0.457 3.082 2.9 -8.5 -1.6 -1.84
C -4.290 -1.670 3.874 1.4 3.2 -0.9 -0.47
C -2.703 -1.675 3.614 -5.1 6.4 -6.7 -0.44
C -2.039 -2.690 4.255 1.9 -2.9 -1.1 -0.44
H -2.513 -3.718 3.783 2.0 2.0 1.7 0.23
H -2.204 -2.477 5.270 -0.1 -1.0 1.8 0.38
O -0.631 -2.322 4.044 0.6 -4.6 -2.5 -0.32
C -0.049 -3.153 2.860 -0.7 3.8 1.6 0.71
O -0.670 -3.701 2.013 -0.2 -0.3 1.0 -0.50
C 1.379 -2.813 2.890 3.2 2.3 -2.9 -1.18
C 1.943 -1.326 2.792 -18.6 -1.7 -2.0 -1.87
C 1.240 -0.740 1.418 -4.5 5.4 9.9 -0.64
C 1.287 0.769 1.358 9.8 -3.2 3.1 -0.81
C 0.872 1.505 0.320 -6.7 2.3 -7.6 -0.59
C 1.195 0.880 -1.176 2.6 4.5 2.4 -0.52
C 0.796 2.044 -2.210 -0.7 -7.0 0.8 0.43
O 0.661 3.180 -2.141 0.5 4.2 0.8 -0.47
O 0.313 1.294 -3.254 2.9 -4.5 6.0 -0.20
C -0.025 1.766 -4.349 -1.8 9.5 -6.6 -0.53
C 0.993 1.795 -5.516 -2.8 -4.7 1.1 -1.13
C 2.273 2.273 -5.349 5.1 5.0 5.0 0.33
C 3.396 2.314 -6.431 -2.2 -6.7 2.0 -1.25
H 2.961 2.658 -7.276 -0.9 1.3 -2.9 0.40
H 4.302 2.767 -6.152 1.0 0.2 0.4 0.35
H 3.509 0.853 -6.749 0.2 4.4 0.9 0.17
H 2.696 1.802 -4.306 -0.6 1.3 -2.4 -0.01
H 1.970 3.441 -5.070 1.6 -2.1 -0.3 0.18
H 0.627 2.052 -6.417 -2.2 2.0 -2.9 0.56
H 1.053 0.768 -5.755 0.4 -2.2 -0.2 0.46
H -0.204 3.020 -4.116 -0.1 -2.8 -1.0 0.21
H -0.968 1.415 -4.689 -0.8 -0.6 -0.4 0.35
H 0.804 -0.104 -1.388 -0.1 0.2 -0.2 0.37
H 2.353 0.930 -1.092 -1.6 -0.7 -0.7 0.23
H -0.405 1.433 0.309 2.8 0.2 0.2 0.15
H 0.970 2.619 0.260 0.5 -1.1 0.4 0.42
H 2.746 0.871 1.428 -3.2 0.4 -0.4 0.20
H 1.152 1.154 2.295 -0.9 1.1 2.4 0.46
H 0.117 -0.568 1.702 1.0 -2.7 -1.1 -0.14
H 1.555 -1.194 0.663 1.9 -4.0 -6.7 1.04
H 1.509 -0.725 3.659 -0.3 -0.6 -1.0 0.35
H 2.750 -1.037 2.922 14.7 2.9 1.2 1.63
H 1.987 -3.083 2.019 -0.9 -1.6 -0.1 0.37
H 1.892 -3.137 3.697 1.1 -1.9 2.9 0.56
H -2.655 -1.585 2.353 0.1 -1.3 3.0 0.18
H -2.249 -0.616 3.671 -0.7 -1.5 1.2 0.33
H -4.521 -1.551 4.933 0.1 -0.1 0.1 0.37
H -4.737 -2.543 3.516 -0.5 -1.7 -0.4 0.38
H -4.992 -0.590 2.024 1.3 -0.4 -1.2 0.42
H -4.552 0.347 3.284 3.5 7.6 2.0 0.53
H -5.923 -0.478 3.129 -6.9 0.3 1.9 0.60

---

No. 2
113
Properties=species:S:1:pos:R:3:forces:R:3:mulliken_charge:R:1 method="wB97M-V/def2-TZVPD" spin_multiplicity=1 e_lumo_ev=1.555 total_charge=-1
C -0.601 -2.349 3.907 0.3 0.5 -0.3 -1.52
C -0.057 -1.298 2.922 -0.6 -0.3 0.1 1.20
C 0.287 -1.936 1.576 0.5 0.3 0.3 -1.12
C 0.718 -0.940 0.488 -0.1 -0.7 -0.5 0.66
C -0.369 -0.487 -0.488 -0.2 0.6 0.4 -1.47
C -1.669 -0.005 0.178 0.2 -0.4 0.1 0.87
C -2.722 -1.124 0.456 0.7 1.1 -0.5 0.21
C -4.048 -0.814 -0.250 -0.5 -0.6 -0.1 -1.08
C -5.358 -1.046 0.537 0.3 0.0 0.1 -0.97
C -5.333 -0.847 2.051 -0.4 0.2 0.3 -0.96
C -5.183 0.600 2.598 -0.6 -0.3 -0.1 -0.36
C -4.999 1.712 1.577 1.1 0.2 0.2 0.39
C -4.844 3.069 2.273 -0.8 -0.7 0.5 -1.17
C -3.622 3.150 3.190 0.4 0.7 -0.4 -0.88
C -2.300 2.676 2.570 0.3 0.1 0.8 0.76
C -1.041 3.321 3.181 0.4 -0.3 -0.4 -0.89
## The page goes on

Watch your background

Specific to video interviews, it's important to be mindful of what the employer can see behind you! Busy backgrounds can be very distracting. Also, avoid having a window in the background because the light can cause a glare and make it hard to see you.

Adjust your camera

If you are using your camera in a video interview, make sure your computer/camera is at eye level so you are making eye contact with the interviewer rather than looking down or leaning down into the computer. It's important to make it as close to a face-to-face interview as possible.

    During the Phone or Video Interview

    Take notes

    Have pen and paper near to take notes as needed. Still have 3-5 questions prepared to ask the interviewer when the interview is complete.

    Be aware of your facial expressions

    Believe it or not, people on the other line can “hear” your attitude and mood. You can't use your body language to convey and emphasize your enthusiasm so it’s important that you try to convey it through your voice. Try smiling as much as you can while you speak. It works!

    Food and water

    Keep a glass of water near you during the interview to combat dry throat or a random cough. Be careful to take a sip (if needed) when the interviewer is talking and not while you're answering a question. Abstain from smoking, chewing gum, and eating during the interview!

    Slow down and be patient

    Wait for the interviewer to finish their question and be sure not to interrupt. Since you can't play off the interviewer's body language or facial expressions as much to determine when they are finished talking, being patient is important. Once the interviewer is finished asking the question, be sure to give short focused answers.

    Answering questions

    One advantage of a virtual interview is you can have notes in front of you for reference. Consider having your resume with you. Maybe you prepared for the interview using the STAR method and have plenty of stories and examples to share. Keep these notes near you to remind you of what you really want to share with the interviewer.